Entries:
~~~
1.
First-principles (PBE) data for Ba2PrPd9 after structural relaxation, as listed in Alexandria via LeMat-Bulk.

Cell lengths 9.8648, 9.8648, 9.8648 Å; angles 32.48, 32.48, 32.48 degrees
Last column: nearest neighbours and their distance in Å.
Fractional positions:
Ba1 0.1402 0.1402 0.1402  12 Pd 3.23-3.54, 3 Ba 3.51
Ba2 0.8598 0.8598 0.8598  12 Pd 3.23-3.54, 3 Ba 3.51
Pr1 0.0000 0.0000 0.0000  18 Pd 3.19-3.56
Pd1 0.0810 0.5801 0.5801  7 Pd 2.74-2.89
Pd2 0.3326 0.3326 0.3326  6 Pd 2.74-2.77
Pd3 0.4199 0.4199 0.9190  7 Pd 2.74-2.89
Pd4 0.4199 0.9190 0.4199  7 Pd 2.74-2.89
Pd5 0.5000 0.5000 0.5000  6 Pd 2.89
Pd6 0.5801 0.0810 0.5801  7 Pd 2.74-2.89
Pd7 0.5801 0.5801 0.0810  7 Pd 2.74-2.89
Pd8 0.6674 0.6674 0.6674  6 Pd 2.74-2.77
Pd9 0.9190 0.4199 0.4199  7 Pd 2.74-2.89

Energy relative to the elements in meV/atom: -519
Space group: R-3m (166)
Total DFT energy (no corrections) in eV/atom: -5.13


2.
First-principles (PBE) data for SnHgAu4 after structural relaxation, as listed in Alexandria via LeMat-Bulk.

Cell lengths 5.6182, 5.6182, 5.6182 Å; angles 60.00, 60.00, 60.00 degrees
Last column: nearest neighbours and their distance in Å.
Fractional positions:
Sn1 0.0000 0.0000 0.0000  12 Au 3.29, 4 Hg 3.44
Hg1 0.2500 0.2500 0.2500  12 Au 3.29, 4 Sn 3.44
Au1 0.1253 0.6249 0.6249  6 Au 2.81
Au2 0.6249 0.1253 0.6249  6 Au 2.81
Au3 0.6249 0.6249 0.1253  6 Au 2.81
Au4 0.6249 0.6249 0.6249  6 Au 2.81

Energy relative to the elements in meV/atom: 28
Space group: F-43m (216)
Distance to the lowest polymorph of the same formula in meV per atom: 0
Total DFT energy (no corrections) in eV/atom: -2.87


3.
First-principles (PBE) data for PmTm6Sc3 after structural relaxation, as listed in Alexandria via LeMat-Bulk.

Cell lengths 10.5810, 10.5810, 6.1277 Å; angles 90.00, 90.00, 122.14 degrees
Last column: nearest neighbours and their distance in Å.
Fractional positions:
Pm1 0.2101 0.7899 0.5000  3 Sc 3.01-3.28, 4 Tm 3.21-3.29
Pm2 0.7899 0.2101 0.0000  3 Sc 3.01-3.28, 4 Tm 3.21-3.29
Tm1 0.0278 0.4380 0.6505  3 Sc 3.15-3.50, 2 Pm 3.21-3.29, 5 Tm 3.31-3.50
Tm2 0.0463 0.9537 0.1629  6 Tm 3.51-3.79, 4 Sc 3.54-3.55, 1 Pm 3.67
Tm3 0.2933 0.3688 0.8109  4 Sc 3.16-3.38, 6 Tm 3.37-3.51
Tm4 0.3119 0.6881 0.9622  1 Sc 3.12, 6 Tm 3.31-3.41, 1 Pm 3.40
Tm5 0.3688 0.2933 0.3109  4 Sc 3.16-3.38, 6 Tm 3.37-3.51
Tm6 0.4380 0.0278 0.1505  3 Sc 3.15-3.50, 2 Pm 3.21-3.29, 5 Tm 3.31-3.50
Tm7 0.5620 0.9722 0.6505  3 Sc 3.15-3.50, 2 Pm 3.21-3.29, 5 Tm 3.31-3.50
Tm8 0.6312 0.7067 0.8109  4 Sc 3.16-3.38, 6 Tm 3.37-3.51
Tm9 0.6881 0.3119 0.4622  1 Sc 3.12, 6 Tm 3.31-3.41, 1 Pm 3.40
Tm10 0.7067 0.6312 0.3109  4 Sc 3.16-3.38, 6 Tm 3.37-3.51
Tm11 0.9537 0.0463 0.6629  6 Tm 3.51-3.79, 4 Sc 3.54-3.55, 1 Pm 3.67
Tm12 0.9722 0.5620 0.1505  3 Sc 3.15-3.50, 2 Pm 3.21-3.29, 5 Tm 3.31-3.50
Sc1 0.0798 0.3039 0.2257  1 Pm 3.01, 3 Tm 3.15-3.22
Sc2 0.3039 0.0798 0.7257  1 Pm 3.01, 3 Tm 3.15-3.22
Sc3 0.3852 0.6148 0.4209  5 Tm 3.12-3.38, 1 Pm 3.28, 2 Sc 3.37
Sc4 0.6148 0.3852 0.9209  5 Tm 3.12-3.38, 1 Pm 3.28, 2 Sc 3.37
Sc5 0.6961 0.9202 0.2257  1 Pm 3.01, 3 Tm 3.15-3.22
Sc6 0.9202 0.6961 0.7257  1 Pm 3.01, 3 Tm 3.15-3.22

Energy relative to the elements in meV/atom: 162
Space group: Cmc2_1 (36)
Distance to the lowest polymorph of the same formula in meV per atom: 0
Total DFT energy (no corrections) in eV/atom: -4.90


Q: The lowest total DFT energy (no corrections) belongs to which entry?
A: Ba2PrPd9

----------

! SrCdIn5, relaxed, DFT PBE; values from VASP
&SYSTEM
  ibrav = 0, nat = 7, ntyp = 3
/
ATOMIC_SPECIES
In 114.82 In.upf
Cd 112.41 Cd.upf
Sr 87.62 Sr.upf
CELL_PARAMETERS angstrom
5.093 0.000 0.000
0.000 5.093 0.000
0.000 0.000 7.726
ATOMIC_POSITIONS crystal
In 0.500 0.000 0.289
Cd 0.000 0.000 0.500
In 0.000 0.500 0.289
Sr 0.000 0.000 0.000
In 0.500 0.000 0.711
In 0.500 0.500 0.000
In 0.000 0.500 0.711
! Calculated total energy = -17.3 eV per cell
! Energy of formation = -15 kJ per mole of atoms



! SrCdIn2, relaxed, DFT PBE; values from VASP
&SYSTEM
~~~

Exercise:
Count the lines above that contain the word "degrees" and give the number alone.

Worked solution:
3